At Ziyada, our heart and vision is to empower women in the workplace and broader community. Empowering women is essential to the health and social development of families, communities, and countries. Research shows that when women are living safe, fulfilled, and productive lives, it benefits everyone. Of course, it is our absolute delight when we see this happening in real time right in front of us! Over the years, our employees have invested in children, spouses, and siblings to help them launch businesses, complete degrees, receive medical care, build homes, and send small children to school.
Shobha’s son, Shubham, is a powerful example of what happens when women are empowered.
When Shobha started working at Ziyada, her family was in a very difficult place financially. At the time, Shobha’s husband was struggling to find consistent work, they didn’t have enough income to meet their basic needs, and their house was, quite literally, collapsing. The roof was caving in!
Shobha had never worked outside the home, but she desperately wanted to help her family. She thought of several small businesses that she had the skills to start, but she never had the capital to put her plans into action. So, when she heard about a new textile business opening in the neighborhood that wanted to hire women, she jumped at the opportunity.
After joining the Ziyada team, Shobha received training and became an expert sewist.
Shobha started saving money, eventually building a lovely new home with indoor plumbing, and a strong roof! At work, Shobha was growing, both as a sewist, and in her sense of self worth and confidence. The support and encouragement she received at Ziyada gave her the bravery required to start a new business venture.
After a few years of saving, she invested in her son, Shubham, to help him start his own business. Shubham was only 20 and had no prior work experience. She wanted him to open a shop dedicated to the needs of women, but Shubham was reluctant to do it on his own. She said, “My idea was to open a shop where women could by the things they love and need, like bangles and home goods, and also send clothing for alterations at a competitive rate. I could do the tailoring in the evenings after work, and Shubham could take orders and serve customers at the store during the day. This way, he wouldn’t feel alone. I would be there to guide him and support him, but he would also grow in his management and business skills.”
So, with her financial investment and supportive care, Shubham opened his own store!
In the last year, the store has expanded, now filling a space twice the size of the original location. Shubham is confidently running the shop, and deals with customers wisely and patiently. Shobha said, “I know that God is with us in this. As we seek him, and spend time with him, doors just keep opening for our family!”.
== Records of molecules, as found in the file ==
+++
(1)
A molecular structure, C32H89IN8O10V at a distorted geometry. Source: the OMol25 dataset; level of theory: ωB97M-V/def2-TZVPD.

Positions of all 141 atoms, in Å:
1 O -0.835 2.432 -5.889
2 V -1.393 1.191 -5.014
3 I -0.224 0.159 -0.581
4 O -2.227 -0.358 -3.859
5 H -2.054 -0.230 -2.906
6 C 5.721 4.761 3.117
7 C 4.312 4.831 2.494
8 C 3.358 3.934 3.267
9 O 3.374 2.584 2.830
10 C 2.727 1.629 3.637
11 N 3.779 6.214 2.585
12 H 6.137 3.770 2.938
13 H 5.797 4.902 4.195
14 H 6.414 5.424 2.599
15 H 4.258 4.378 1.504
16 H 2.332 4.302 3.273
17 H 3.610 3.997 4.325
18 H 3.408 1.366 4.447
19 H 2.454 0.685 3.166
20 H 1.757 2.046 3.907
21 H 3.875 6.744 3.440
22 H 4.326 6.781 1.953
23 C -1.938 -0.266 4.707
24 C -1.515 0.280 6.114
25 C -1.796 -0.850 7.132
26 O -3.192 -0.896 7.376
27 C -3.565 -2.030 8.224
28 N -0.098 0.531 6.058
29 H -1.477 -1.224 4.467
30 H -1.608 0.392 3.903
31 H -3.020 -0.397 4.688
32 H -2.065 1.193 6.340
33 H -1.249 -0.637 8.051
34 H -1.359 -1.745 6.689
35 H -3.587 -2.996 7.720
36 H -4.557 -1.815 8.624
37 H -3.040 -2.150 9.172
38 H 0.095 1.287 5.416
39 H 0.191 0.829 6.979
40 C 2.137 -3.061 -1.631
41 C 2.419 -4.596 -1.810
42 C 1.154 -5.300 -1.463
43 O 1.240 -6.663 -1.229
44 C -0.089 -7.196 -1.223
45 N 2.766 -4.869 -3.188
46 H 1.620 -2.625 -2.485
47 H 3.042 -2.463 -1.742
48 H 1.717 -2.794 -0.661
49 H 3.163 -4.925 -1.084
50 H 0.446 -5.147 -2.278
51 H 0.600 -4.955 -0.590
52 H 0.103 -8.254 -1.047
53 H -0.682 -7.074 -2.130
54 H -0.675 -6.781 -0.403
55 H 3.622 -4.497 -3.575
56 H 2.876 -5.872 -3.133
57 C -2.678 -2.704 0.739
58 C -2.497 -3.175 -0.714
59 C -3.015 -4.629 -0.947
60 O -2.980 -4.955 -2.278
61 C -3.518 -6.291 -2.448
62 N -2.930 -2.198 -1.648
63 H -2.042 -1.828 0.868
64 H -2.275 -3.528 1.330
65 H -3.732 -2.508 0.932
66 H -1.423 -3.046 -0.847
67 H -4.032 -4.755 -0.576
68 H -2.382 -5.342 -0.417
69 H -4.536 -6.392 -2.072
70 H -2.878 -6.960 -1.874
71 H -3.422 -6.686 -3.460
72 H -3.703 -1.865 -1.090
73 H -2.344 -1.376 -1.618
74 C 2.666 -0.366 -4.977
75 C 1.362 0.166 -5.494
76 C 0.559 -0.871 -6.293
77 O -0.726 -0.295 -6.560
78 C -1.109 -0.619 -7.891
79 N 0.591 0.695 -4.329
80 H 3.340 -0.531 -5.817
81 H 2.405 -1.320 -4.518
82 H 3.235 0.238 -4.270
83 H 1.489 1.035 -6.139
84 H 0.608 -1.760 -5.665
85 H 1.155 -1.108 -7.174
86 H -2.177 -0.420 -7.976
87 H -0.901 -1.682 -8.015
88 H -0.486 0.043 -8.494
89 H 1.228 1.171 -3.707
90 H 0.439 -0.065 -3.682
91 C 4.459 2.368 -0.280
92 C 4.626 0.878 -0.518
93 C 4.064 0.039 0.634
94 O 4.184 -1.350 0.308
95 C 4.601 -2.287 1.340
96 N 3.967 0.662 -1.739
97 H 4.806 2.898 -1.167
98 H 5.124 2.544 0.565
99 H 3.417 2.492 0.015
100 H 5.704 0.734 -0.586
101 H 3.050 0.359 0.874
102 H 4.708 0.270 1.482
103 H 4.669 -3.313 0.977
104 H 3.821 -2.250 2.100
105 H 5.587 -2.021 1.720
106 H 3.002 0.792 -1.471
107 H 4.080 -0.328 -1.907
108 C -1.966 4.618 -3.588
109 C -0.915 3.773 -3.009
110 C -0.493 4.080 -1.574
111 O 0.369 5.228 -1.466
112 C 0.302 5.890 -0.172
113 N -1.566 2.456 -3.180
114 H -2.810 4.759 -2.914
115 H -2.458 4.129 -4.429
+++
== So much for the records of molecules ==
This is the power of social enterprise!
This is the power of businesses that commit to uplifting and empowering employees and developing communities. When you shop at Ziyada, you aren’t just purchasing a lovely pillow or gorgeous quilt, you are building a community, changing lives, and breaking the chains of poverty. Your purchases are POWERFUL! So, thank you for being a part of the Ziyada story! And, thank you for being a part of Shubham and Shobha’s story! Keep shopping, because you are making a difference!